
Hitachi Advanced Database Setup and Operation Guide

11.1.13 Checking the definition information for a base table (searching a dictionary table)

By searching a dictionary table, you can check the definition information of a base table.


For details about the contents of each dictionary table, see B. Dictionary Tables. For an example of searching a dictionary table, see B.22 Searching a dictionary table.

The following table lists the dictionary tables and the base table definition information that can be checked from the dictionary tables.

Table 11‒2: Dictionary tables and the base table definition information that can be checked


Dictionary table

Base table definition information that can be checked



By searching the SQL_TABLES table, you can check the following definition information:

  • Table name

    Check the TABLE_SCHEMA column (schema name) and TABLE_NAME column (table identifier).

  • Specification content of the PCTFREE table option

    Check the FREE_AREA column (percentage of unused area in the table pages).

  • Whether the BRANCH ALL table option is specified

    Check the IS_BRANCH_ALL column (specification of the BRANCH ALL table option).

  • Table type (single-chunk table or multi-chunk table)

    Check the specification of the IS_CHUNK column (CHUNK specification in the chunk specification).

  • Maximum number of chunks created in a multi-chunk table

    Check the N_CHUNK_RESERVED column (maximum number of chunks that can be created).

  • Whether the column is an archivable multi-chunk table

    Check the IS_ARCHIVABLE column (whether a chunk-archive specification exists).

  • Path name of the archive directory

    Check the ARCHIVE_DIRECTORY_PATH column (absolute path to the archive directory).

  • Table type (row store table or column store table)

    Check the STORAGE_FORMAT column (table-data storage format).

For details about the SQL_TABLES table, see B.2 Content of SQL_TABLES.



By searching the SQL_COLUMNS table, you can check the following definition information:

  • Column name

    Check the COLUMN_NAME column (column name).

  • Data type and definition length of a column

    Check the DATA_TYPE_CODE column (data type of a column) and DATA_LENGTH column (definition length of a column).

  • Specification content of the DEFAULT clause

    Check the IS_DEFAULT_COLUMN column (whether the DEFAULT clause is specified) and DEFAULT_VALUE column (default value specified for the DEFAULT clause).

  • Whether BRANCH is specified

    Check the BRANCH column (value specified for BRANCH in the column definition).

  • Specification content of a primary key

    Check the IS_PRIMARY_KEY_COLUMN column (whether the column is a member of columns that comprise the primary key), and the PRIMARY_KEY_COLUMN_SEQUENCE_NUMBER column (column order of the primary key).

  • Whether the column is an archive range column

    Check the IS_ARCHIVE_RANGE_COLUMN column (whether the column is an archive range column).

  • Value specified as the column-data compression type during definition of a column store table

    Check the COMPRESSION_TYPE column (value specified for COMPRESSION TYPE in the column definition).

For details about the SQL_COLUMNS table, see B.3 Content of SQL_COLUMNS.


  • SQL_DIV_TABLE table

  • SQL_DBAREAS table

By searching the tables on the left, you can check the following definition information:

  • DB area ID of the DB area that stores the table

    Check the DBAREA_ID column of the SQL_DIV_TABLE table (DB area ID of the DB area that stores the table).

  • DB area name of a DB area

    Check the DBAREA_NAME column (DB area name) of the SQL_DBAREAS table based on the DB area ID checked in the SQL_DIV_TABLE table.

For details about the SQL_DIV_TABLE table, see B.4 Content of SQL_DIV_TABLE.

For details about the SQL_DBAREAS table, see B.7 Content of SQL_DBAREAS.

**Between two parts of the page: data records:**
-- begin --
[1]
VASP calculation (PBE) on a relaxed structure of Mg2C3.

The energy relative to the lowest polymorph listed for this composition is 68.3 kJ per mole of atoms. The total energy is -79.4 eV per cell. For the formation energy, the calculation gives 4.4 eV per formula unit.

It has space group R-3m (No. 166, hexagonal axes), with a = 2.7651 Å, b = 2.7651 Å, c = 21.2766 Å, α = 90.00°, β = 90.00° and γ = 120.00°. The distinct sites, in fractional coordinates, are Mg at (0.0000, 0.0000, 0.0967), C at (0.0000, 0.0000, 0.3230) and C at (0.0000, 0.0000, 0.5000).



[2]
VASP calculation (PBE) on a relaxed structure of Mg5C.

The energy relative to the lowest polymorph listed for this composition is 8.8 kJ per mole of atoms. The total energy is -14.7 eV per cell. For the formation energy, the calculation gives 2.5 eV per formula unit.

It has space group P-62m (No. 189), with a = 6.9083 Å, b = 6.9083 Å, c = 3.1425 Å, α = 90.00°, β = 90.00° and γ = 120.00°. The distinct sites, in fractional coordinates, are Mg at (0.0000, 0.7654, 0.0000), Mg at (0.3333, 0.6667, 0.5000) and C at (0.0000, 0.0000, 0.5000).



[3]
VASP calculation (PBE) on a relaxed structure of MgC2.

The energy relative to the lowest polymorph listed for this composition is 5.9 kJ per mole of atoms. The total energy is -55.7 eV per cell. For the formation energy, the calculation gives 1.5 eV per formula unit.

It has space group R-3m (No. 166, hexagonal axes), with a = 2.6047 Å, b = 2.6047 Å, c = 16.4209 Å, α = 90.00°, β = 90.00° and γ = 120.00°. The distinct sites, in fractional coordinates, are Mg at (0.0000, 0.0000, 0.0000) and C at (0.0000, 0.0000, 0.1678).



[4]
VASP calculation (PBE) on a relaxed structure of MgC.

The energy relative to the lowest polymorph listed for this composition is 49.5 kJ per mole of atoms. The total energy is -36.8 eV per cell. For the formation energy, the calculation gives 1.6 eV per formula unit.

It has space group P6_3/mmc (No. 194), with a = 5.4008 Å, b = 5.4008 Å, c = 5.5451 Å, α = 90.00°, β = 90.00° and γ = 120.00°. The distinct sites, in fractional coordinates, are Mg at (0.0000, 0.0000, 0.2500), Mg at (0.3333, 0.6667, 0.2500) and C at (0.3333, 0.6667, 0.6355).



[5]
VASP calculation (PBE) on a relaxed structure of MgC2.

The energy relative to the lowest polymorph listed for this composition is 115.5 kJ per mole of atoms. The total energy is -60.6 eV per cell. For the formation energy, the calculation gives 4.9 eV per formula unit.

It has space group P6_3/mmc (No. 194), with a = 4.0325 Å, b = 4.0325 Å, c = 9.2953 Å, α = 90.00°, β = 90.00° and γ = 120.00°. The distinct sites, in fractional coordinates, are Mg at (0.3333, 0.6667, 0.0977), C at (0.0000, 0.0000, 0.0000) and C at (0.1207, 0.2413, 0.7500).



[6]
VASP calculation (PBE) on a relaxed structure of MgC2.
-- stop --





By searching the tables on the left, you can check the following definition information:

  • Information related to constraints on a base table (whether primary keys and foreign keys exist)

    See the SQL_TABLE_CONSTRAINTS table.

    For details about the SQL_TABLE_CONSTRAINTS table, see B.14 Content of SQL_TABLE_CONSTRAINTS.

  • Information related to columns comprising the primary key and foreign keys

    See the SQL_KEY_COLUMN_USAGE table.

    For details about the SQL_KEY_COLUMN_USAGE table, see B.16 Content of SQL_KEY_COLUMN_USAGE.

  • Information related to referential constraints


    For details about the SQL_REFERENTIAL_CONSTRAINTS table, see B.17 Content of SQL_REFERENTIAL_CONSTRAINTS.